Page 7 of Rough and Tumble
I suck in a deep breath, one after another until the room spins, and I nearly pass out. There’s no way in hell this is the same man.
“Is everything okay?” Rowan finally says. “I know we have a bad name around town, but whatever we did, I’m sure we didn’t mean it.”
One by one the dominos fall into place, and I wonder why they hadn’t before. Four boys and their father here from Alaska to hunt a bear. Why didn’t I think that could be Sergei?
These calculated crystals were left in the page by mistake =
1.
## RbHg3W (GGA-PBE)

Data for RbHg3W after structural relaxation.

Unit cell a=5.4765 b=5.4765 c=5.4765 alpha=90.00 beta=90.00 gamma=90.00
Sites, in units of the cell vectors:
Rb 0.0000 0.0000 0.0000
Hg 0.0000 0.5000 0.5000
Hg 0.5000 0.0000 0.5000
Hg 0.5000 0.5000 0.0000
W 0.5000 0.5000 0.5000

Calculated values
Space group = Pm-3m, No. 221
N(E_F) = 4.41 states/eV/cell
Relative energy among the computed polymorphs = 0 kJ/mol of formula units
Formation enthalpy at 0 K = 0.569 eV/atom

2.
## LaHoSe3 (GGA-PBE)

Data for LaHoSe3 after structural relaxation.

Unit cell a=7.7997 b=4.2114 c=16.1155 alpha=90.00 beta=90.00 gamma=90.00
Sites, in units of the cell vectors:
La 0.1398 0.2500 0.1998
La 0.3602 0.7500 0.6998
La 0.6398 0.2500 0.3002
La 0.8602 0.7500 0.8002
Ho 0.2280 0.7500 0.4569
Ho 0.2720 0.2500 0.9569
Ho 0.7280 0.7500 0.0431
Ho 0.7720 0.2500 0.5431
Se 0.0105 0.2500 0.3959
Se 0.1247 0.7500 0.0602
Se 0.1530 0.2500 0.7850
Se 0.3470 0.7500 0.2850
Se 0.3753 0.2500 0.5602
Se 0.4895 0.7500 0.8959
Se 0.5105 0.2500 0.1041
Se 0.6247 0.7500 0.4398
Se 0.6530 0.2500 0.7150
Se 0.8470 0.7500 0.2150
Se 0.8753 0.2500 0.9398
Se 0.9895 0.7500 0.6041

Calculated values
Formation energy from raw total energies = -1.961 eV/atom
Space group = Pnma, No. 62
Relative energy among the computed polymorphs = 0 kJ/mol of formula units

Copy entry 2 word for word.
## LaHoSe3 (GGA-PBE)

Data for LaHoSe3 after structural relaxation.

Unit cell a=7.7997 b=4.2114 c=16.1155 alpha=90.00 beta=90.00 gamma=90.00
Sites, in units of the cell vectors:
La 0.1398 0.2500 0.1998
La 0.3602 0.7500 0.6998
La 0.6398 0.2500 0.3002
La 0.8602 0.7500 0.8002
Ho 0.2280 0.7500 0.4569
Ho 0.2720 0.2500 0.9569
Ho 0.7280 0.7500 0.0431
Ho 0.7720 0.2500 0.5431
Se 0.0105 0.2500 0.3959
Se 0.1247 0.7500 0.0602
Se 0.1530 0.2500 0.7850
Se 0.3470 0.7500 0.2850
Se 0.3753 0.2500 0.5602
Se 0.4895 0.7500 0.8959
Se 0.5105 0.2500 0.1041
Se 0.6247 0.7500 0.4398
Se 0.6530 0.2500 0.7150
Se 0.8470 0.7500 0.2150
Se 0.8753 0.2500 0.9398
Se 0.9895 0.7500 0.6041

Calculated values
Formation energy from raw total energies = -1.961 eV/atom
Space group = Pnma, No. 62
Relative energy among the computed polymorphs = 0 kJ/mol of formula units

----------

The following is a DFT calculation (PBE) of a geometry-optimized LiGa6Ni8 structure.

Values from the calculation:
Calculated volume = 204.9 Å³ per cell
ΔE_f = -0.172 eV per atom
Symmetry = No. 148

Unit cell a=6.314 b=6.314 c=6.314 alpha=67.06 beta=67.06 gamma=67.06
Sites, in units of the cell vectors:
Li 0.000 0.000 0.000
Ga 0.071 0.400 0.720
Ga 0.280 0.929 0.600
Ga 0.400 0.720 0.071
Ga 0.600 0.280 0.929
Ga 0.720 0.071 0.400
Ga 0.929 0.600 0.280
Ni 0.100 0.783 0.444
Ni 0.217 0.556 0.900
Ni 0.331 0.331 0.331
Ni 0.444 0.100 0.783
Ni 0.556 0.900 0.217
Ni 0.669 0.669 0.669
Ni 0.783 0.444 0.100
Ni 0.900 0.217 0.556

----------

No. 1
Entry from Alexandria via LeMat-Bulk: crystalline InSeN2 at its relaxed geometry (PBE).

Cell: 6.406 6.406 6.406 Å, 30.88 30.88 30.88°
“I’m sorry. I can’t help.” I hang up the line and suck down the rest of the cool water gulp after unsatisfying gulp.
“What’s wrong?” Lark sips her tea. “You need to leave? I can have the waitress get our drinks to go.”
“No. I…” Words form in my throat, but they won’t come out.
“What’s wrong?” She leans in and reaches for my hand. “Is Everleigh okay?”
“Yeah, yeah. It’s not that. I, ugh,” I swallow hard, “that was a med call. There’s a guy up on the mountain that needs some help.”
“Oh, so you’ve gotta go. I’ll have her put our tea in to go cups.”
“No. No. No.” I’m still like a statue.
“Okay…” She narrows her brows and sits back in the chair. “You’re acting funny. Tell me what’s wrong.”
I drag in air, filtering it out slowly. My hands are shaking, my thighs too. “That was Rowan Laskin.”
“Oh, one of the asshole Alaskans up here pissing everyone off? What did they do now?”
“No, it’s not that. He wants me to go take care of his father.”
“Okay,” her brows narrow, “why aren’t you going?”
My jaw drops open, and I lean toward Lark as though I’m about to drop a bomb. “His father is Sergei. Sergei is the guy. The guy, the guy. The one. The one I’ve been talking about.”
She gasps and wraps her hand over her face. “It’s fate! I’ve bumped into that guy in town. He’d just gotten here with his boys. They were at the general store getting supplies. He’s hot. Like rugged hot. You’ve got to go see him!”
“What was he like? Did you talk to him?” There’s anxiety in my voice as I talk.
“No way. He was real intimidating. He’s huge and didn’t say a word.” Her brows go downturned. “Why aren’t you packing things up to go see him? This is your chance. I mean, coincidences like this don’t happen.”
While I agree this is a crazy coincidence, I can’t dismiss the fact that seeing Sergei after nearly twenty years will be awkward as hell. I look different. A lot different. I’m more jaded than I used to be, too.
“What if he doesn’t remember me or doesn’t feel the same? I don’t think my heart can take it right now.”
“That’s valid,” Lark nods, “but what if you don’t go? Will you regret it? Five years from now when you’re still fantasizing about this guy, will you regret not trying? And if he’s still thinking about you, the consequences surely outweigh the possibility of a negative, right?”
She has a point. “What if he’s married?”
“He’s up here alone. He’s not married.”
“How do you know, though? I mean, maybe his wife has a life in Alaska that she can’t drop on a dime for a bear hunt.”
“I’m pretty sure he’s not married. I can ask around town, but seriously, go with your gut. At the very least, you’ll get closure.”
Closure is such an interesting concept. What does it do for anyone? Why do people need neat little circles around everything? It doesn’t help. Truly, I don’t want to stop thinking about the version of him I’ve created. I need that fantasy. It’s hope that something good exists and might be waiting for me.
Then again, maybe this is my chance. Maybe the universe did bring him here for a reason. Maybe everything I’ve ever needed is right here, on top of Rugged Mountain.
Chapter Four